Request >
Type out the entries further down exactly.

File >
/*
No. 1
Here is a structure of composition C24H44GdN4O9 from the Open Molecules 2025 dataset. Energies are from ωB97M-V/def2-TZVPD.

Geometry as XYZ:
```
82
Properties=species:S:1:pos:R:3:forces:R:3
Gd -1.10464 1.78620 -0.44308 -0.3 0.4 0.5
C -3.46282 -2.65929 -0.40632 1.8 -1.0 0.8
C -2.24774 -1.73149 -0.56565 -0.3 0.6 0.6
C -0.88554 -2.37335 -0.29216 0.5 -0.3 0.5
C -0.04921 -2.75564 -1.54622 0.8 -1.1 -0.6
C 0.76547 -4.08343 -1.33425 -0.4 1.2 0.5
C -0.92467 -2.94822 -2.80559 0.7 1.3 0.2
N 0.93835 -1.57738 -1.86466 -1.2 0.1 -0.7
C 2.39794 -1.61835 -1.78361 1.1 -0.2 0.4
C 2.95650 -1.56742 -0.36633 1.7 -0.1 0.1
N 2.67853 -0.38562 0.36496 -0.6 0.5 1.2
C 3.27908 0.84158 -0.11401 -0.5 -1.1 0.0
C 2.26968 1.78468 -0.79078 1.5 -0.9 0.7
O 2.67419 2.81669 -1.27579 -0.2 0.9 -0.6
O 1.06694 1.39138 -0.65721 -0.6 -0.1 -0.4
C 2.32676 -0.44158 1.82833 1.1 -0.2 0.1
C 2.77750 -1.73551 2.52401 -0.5 -0.5 -0.4
C 0.83370 -0.27669 2.03705 -1.1 -0.2 0.0
C 0.30274 0.97019 2.77481 0.6 0.0 1.5
C 0.14290 0.71941 4.32700 -1.1 -0.3 -1.1
C 1.25396 2.18172 2.60957 -1.3 0.6 -0.6
N -1.02832 1.37814 2.17227 0.8 0.4 0.2
C -2.21468 0.56187 2.53363 -0.7 1.2 -0.6
C -2.39968 -0.67337 1.66796 1.0 -0.5 0.0
N -2.43660 -0.45364 0.18309 0.6 0.3 1.8
C -3.69853 0.09346 -0.27242 -0.8 1.0 -0.5
C -4.09203 1.47494 0.25031 -0.8 -0.9 2.6
O -3.17184 2.38041 0.12709 0.1 0.5 -0.5
O -5.13218 1.53714 0.91180 1.2 0.6 -1.3
H -3.17150 -3.67264 -0.65747 0.2 -0.3 0.0
H -4.25443 -2.44851 -1.05702 -1.2 0.6 -0.8
H -3.79546 -2.70421 0.62698 -0.2 0.1 0.1
H -2.26885 -1.34882 -1.54668 0.2 0.1 -1.4
H -1.09550 -3.29038 0.30633 0.6 0.5 -0.3
H -0.23080 -1.69211 0.31393 -0.8 -0.9 -0.4
H 0.11944 -4.93250 -1.33762 -0.9 -0.4 -0.3
H 1.26594 -4.18527 -0.38091 0.3 0.5 0.4
H 1.49006 -4.24665 -2.10566 0.4 0.0 -0.6
H -1.82838 -3.42672 -2.49071 -0.5 -0.5 -0.2
H -0.40151 -3.49134 -3.57990 0.1 -0.4 0.0
H -1.18121 -1.98030 -3.26862 -0.1 -0.3 0.3
H 0.70576 -0.85504 -1.20417 -0.2 0.8 0.5
H 0.67350 -1.12126 -2.79125 0.1 -0.6 0.6
H 2.77591 -0.72337 -2.28761 -0.3 -0.1 -0.2
H 2.83088 -2.46732 -2.29773 -0.2 -0.2 -0.2
H 4.07754 -1.67543 -0.49299 -0.7 -0.1 -0.1
H 2.67869 -2.39430 0.25554 -0.4 -0.7 -0.1
H 4.16276 0.58228 -0.69721 0.0 0.4 -0.4
H 3.63243 1.37975 0.73681 0.4 0.6 0.6
H 2.90062 0.37337 2.33535 -0.5 -0.5 -0.6
H 2.01273 -2.54590 2.51949 0.5 0.4 -0.5
H 2.97100 -1.62063 3.57364 0.1 0.5 0.6
H 3.69011 -2.07156 2.06881 0.5 -0.4 0.0
H 0.42768 -1.22646 2.49173 0.2 1.1 -0.4
H 0.46706 -0.20471 1.01040 -0.2 0.0 0.3
H 1.03092 0.83238 4.94972 0.0 0.3 -0.3
H -0.24685 -0.28375 4.49601 0.1 -0.2 0.0
H -0.69474 1.35910 4.63364 0.6 0.3 0.5
H 2.17221 2.11156 3.20878 -0.3 -0.1 -0.4
H 0.69563 3.09570 2.96668 0.7 -0.8 -0.3
H 1.41613 2.29903 1.51126 0.4 0.2 1.0
H -1.17343 2.34316 2.52120 -0.2 -0.7 -0.2
H -3.09822 1.20442 2.30505 0.7 -0.3 0.6
H -2.24907 0.34323 3.61965 0.0 -0.2 -0.7
H -3.25433 -1.17535 2.08760 -0.9 -0.2 -0.3
H -1.59429 -1.38988 1.83497 0.1 0.2 0.1
H -4.54024 -0.55506 -0.01299 0.1 0.1 -0.6
H -3.53218 0.33135 -1.33089 -0.6 -0.9 -0.4
O 0.85366 5.84887 -0.51024 -0.5 -0.2 -0.1
C 0.30794 4.66055 -0.76836 1.6 1.3 0.5
O 0.04932 3.92415 0.17093 -1.1 -0.6 -1.0
C 0.28378 4.42569 -2.26554 0.5 -1.1 -0.2
O -0.42122 3.19974 -2.50742 0.3 0.1 0.1
C -0.04882 2.41042 -3.64570 -0.3 -0.7 -0.7
C -0.17473 0.88444 -3.30525 -1.6 3.3 1.0
O 0.36594 0.09896 -4.01637 1.4 -2.0 -1.3
O -0.92509 0.60644 -2.29744 -0.4 -0.5 -0.1
H 0.84277 5.97056 0.45927 0.2 0.0 -0.3
H 1.35455 4.39219 -2.58657 -0.7 -0.4 0.4
H -0.14142 5.23932 -2.83007 -0.5 0.4 0.1
H 0.97421 2.56058 -4.00634 0.0 0.3 0.5
H -0.72269 2.61538 -4.51880 0.4 -0.1 0.8
```
Positions in Å, forces in eV/Å.

Properties
strongest force on any atom: 3.76 eV/A
lowest unoccupied orbital energy (spin up / spin down): -4.08 / -1.89 eV
E_HOMO (spin up / spin down): -0.406 / -0.407 hartree
charge: +1
molar mass: 689.89 u
Kohn-Sham gap (spin up / spin down): 0.2563 / 0.3372 Eh
2S+1: 8

Atom charges from the Mulliken analysis, given in e for atoms 1 to 4: -0.187, -2.177, -0.666, -0.493



No. 2
*/

Solution >
No. 1
Here is a structure of composition C24H44GdN4O9 from the Open Molecules 2025 dataset. Energies are from ωB97M-V/def2-TZVPD.

Geometry as XYZ:
```
82
Properties=species:S:1:pos:R:3:forces:R:3
Gd -1.10464 1.78620 -0.44308 -0.3 0.4 0.5
C -3.46282 -2.65929 -0.40632 1.8 -1.0 0.8
C -2.24774 -1.73149 -0.56565 -0.3 0.6 0.6
C -0.88554 -2.37335 -0.29216 0.5 -0.3 0.5
C -0.04921 -2.75564 -1.54622 0.8 -1.1 -0.6
C 0.76547 -4.08343 -1.33425 -0.4 1.2 0.5
C -0.92467 -2.94822 -2.80559 0.7 1.3 0.2
N 0.93835 -1.57738 -1.86466 -1.2 0.1 -0.7
C 2.39794 -1.61835 -1.78361 1.1 -0.2 0.4
C 2.95650 -1.56742 -0.36633 1.7 -0.1 0.1
N 2.67853 -0.38562 0.36496 -0.6 0.5 1.2
C 3.27908 0.84158 -0.11401 -0.5 -1.1 0.0
C 2.26968 1.78468 -0.79078 1.5 -0.9 0.7
O 2.67419 2.81669 -1.27579 -0.2 0.9 -0.6
O 1.06694 1.39138 -0.65721 -0.6 -0.1 -0.4
C 2.32676 -0.44158 1.82833 1.1 -0.2 0.1
C 2.77750 -1.73551 2.52401 -0.5 -0.5 -0.4
C 0.83370 -0.27669 2.03705 -1.1 -0.2 0.0
C 0.30274 0.97019 2.77481 0.6 0.0 1.5
C 0.14290 0.71941 4.32700 -1.1 -0.3 -1.1
C 1.25396 2.18172 2.60957 -1.3 0.6 -0.6
N -1.02832 1.37814 2.17227 0.8 0.4 0.2
C -2.21468 0.56187 2.53363 -0.7 1.2 -0.6
C -2.39968 -0.67337 1.66796 1.0 -0.5 0.0
N -2.43660 -0.45364 0.18309 0.6 0.3 1.8
C -3.69853 0.09346 -0.27242 -0.8 1.0 -0.5
C -4.09203 1.47494 0.25031 -0.8 -0.9 2.6
O -3.17184 2.38041 0.12709 0.1 0.5 -0.5
O -5.13218 1.53714 0.91180 1.2 0.6 -1.3
H -3.17150 -3.67264 -0.65747 0.2 -0.3 0.0
H -4.25443 -2.44851 -1.05702 -1.2 0.6 -0.8
H -3.79546 -2.70421 0.62698 -0.2 0.1 0.1
H -2.26885 -1.34882 -1.54668 0.2 0.1 -1.4
H -1.09550 -3.29038 0.30633 0.6 0.5 -0.3
H -0.23080 -1.69211 0.31393 -0.8 -0.9 -0.4
H 0.11944 -4.93250 -1.33762 -0.9 -0.4 -0.3
H 1.26594 -4.18527 -0.38091 0.3 0.5 0.4
H 1.49006 -4.24665 -2.10566 0.4 0.0 -0.6
H -1.82838 -3.42672 -2.49071 -0.5 -0.5 -0.2
H -0.40151 -3.49134 -3.57990 0.1 -0.4 0.0
H -1.18121 -1.98030 -3.26862 -0.1 -0.3 0.3
H 0.70576 -0.85504 -1.20417 -0.2 0.8 0.5
H 0.67350 -1.12126 -2.79125 0.1 -0.6 0.6
H 2.77591 -0.72337 -2.28761 -0.3 -0.1 -0.2
H 2.83088 -2.46732 -2.29773 -0.2 -0.2 -0.2
H 4.07754 -1.67543 -0.49299 -0.7 -0.1 -0.1
H 2.67869 -2.39430 0.25554 -0.4 -0.7 -0.1
H 4.16276 0.58228 -0.69721 0.0 0.4 -0.4
H 3.63243 1.37975 0.73681 0.4 0.6 0.6
H 2.90062 0.37337 2.33535 -0.5 -0.5 -0.6
H 2.01273 -2.54590 2.51949 0.5 0.4 -0.5
H 2.97100 -1.62063 3.57364 0.1 0.5 0.6
H 3.69011 -2.07156 2.06881 0.5 -0.4 0.0
H 0.42768 -1.22646 2.49173 0.2 1.1 -0.4
H 0.46706 -0.20471 1.01040 -0.2 0.0 0.3
H 1.03092 0.83238 4.94972 0.0 0.3 -0.3
H -0.24685 -0.28375 4.49601 0.1 -0.2 0.0
H -0.69474 1.35910 4.63364 0.6 0.3 0.5
H 2.17221 2.11156 3.20878 -0.3 -0.1 -0.4
H 0.69563 3.09570 2.96668 0.7 -0.8 -0.3
H 1.41613 2.29903 1.51126 0.4 0.2 1.0
H -1.17343 2.34316 2.52120 -0.2 -0.7 -0.2
H -3.09822 1.20442 2.30505 0.7 -0.3 0.6
H -2.24907 0.34323 3.61965 0.0 -0.2 -0.7
H -3.25433 -1.17535 2.08760 -0.9 -0.2 -0.3
H -1.59429 -1.38988 1.83497 0.1 0.2 0.1
H -4.54024 -0.55506 -0.01299 0.1 0.1 -0.6
H -3.53218 0.33135 -1.33089 -0.6 -0.9 -0.4
O 0.85366 5.84887 -0.51024 -0.5 -0.2 -0.1
C 0.30794 4.66055 -0.76836 1.6 1.3 0.5
O 0.04932 3.92415 0.17093 -1.1 -0.6 -1.0
C 0.28378 4.42569 -2.26554 0.5 -1.1 -0.2
O -0.42122 3.19974 -2.50742 0.3 0.1 0.1
C -0.04882 2.41042 -3.64570 -0.3 -0.7 -0.7
C -0.17473 0.88444 -3.30525 -1.6 3.3 1.0
O 0.36594 0.09896 -4.01637 1.4 -2.0 -1.3
O -0.92509 0.60644 -2.29744 -0.4 -0.5 -0.1
H 0.84277 5.97056 0.45927 0.2 0.0 -0.3
H 1.35455 4.39219 -2.58657 -0.7 -0.4 0.4
H -0.14142 5.23932 -2.83007 -0.5 0.4 0.1
H 0.97421 2.56058 -4.00634 0.0 0.3 0.5
H -0.72269 2.61538 -4.51880 0.4 -0.1 0.8
```
Positions in Å, forces in eV/Å.

Properties
strongest force on any atom: 3.76 eV/A
lowest unoccupied orbital energy (spin up / spin down): -4.08 / -1.89 eV
E_HOMO (spin up / spin down): -0.406 / -0.407 hartree
charge: +1
molar mass: 689.89 u
Kohn-Sham gap (spin up / spin down): 0.2563 / 0.3372 Eh
2S+1: 8

Atom charges from the Mulliken analysis, given in e for atoms 1 to 4: -0.187, -2.177, -0.666, -0.493



No. 2